National Survey on the Separation of Immigrant Families

The reason for mass immigration
We all are going through difficult times right now.
Families all over the world are constantly looking for resources to have a more dignified life and more opportunities for the future.
We live in a world that has vast differences in well-being and comfort between countries and communities.
There are countries where people have a good quality of life, access to work and education, and violence rates are not as high as in other countries.
We also have countries where fear is the most continuous feeling among people since poverty and violence constantly challenge the communities.
It is reasonable that people from marginalized countries want to go to other countries to be able to start a new life, create projects and feel the security that any human being should feel.
Separation of Immigrant Families
Immigrants around the world have always focused in the US.
The current administration repeatedly declares that immigration is a problem for society in general. Therefore, to curb illegal immigration, extreme measures have been taken latelly.
Immigrants who want to apply for asylum are being held at the borders with Mexico. However, according to the US Supreme Court of Justice, security entities cannot capture a minor for more than 72 hours in a row.
That is why, when a child reaches the border and cannot be detained, he is separated from his parents and sent to an immigrant juvenile detention center.
The separation process can be very damaging to the emotional development of an infant.
Separation damage
Psychology professor Wade C. Rowatt of Baylor University mentions: “Previous research shows that immigrant children separated from their mothers in the same detention centers report more emotional problems than the detained children who were not separated. In addition, the prevalence of post-traumatic stress disorder among detained immigrant children was higher than the lifetime prevalence among United States adolescents.”
**Records of crystals that have nothing to do with the entry**
/*
First-principles (GGA-PBE) data for a relaxed Ca3Mn crystal, as listed in the Materials Project database.

abc: 5.6543 5.6543 5.6543
angles: 60.00 60.00 60.00
Fractional positions:
Ca 0.5000 0.5000 0.5000
Mn 0.0000 0.0000 0.0000
Ca 0.7500 0.7500 0.7500
Ca 0.2500 0.2500 0.2500
*/
Separating families can create irreparable and irreversible harm to the infant and also to the family.
Many of the circumstances of separation are rough and in most cases, adult family members do not know where the minors are located.
Many internal social conflicts have raised due to this immigration policy because it can be seen as a violation of human rights.
National Survey on Family Separation
To measure what the community thinks about immigrants being returned to Mexico’s borders and retention centers, a national survey was recently conducted.
Also, to analyze what the community thinks about forced family separation at the borders, a citizen survey was carried out.
Citizens who completed the survey disagree 90% with the separation of families at the border.
This can give us insight into how the community actually thinks.
Sometimes it seems that the government has made decisions slightly impulsively in the rush to cut immigration and the repercussions of these policies can be serious for future generations.
It is essential to follow a correct protocol with any immigration issue, that’s why if you have any questions about an immigration issue or relating to a case you may have currently in progress, then please don’t hesitate to contact us for a FREE Consultation with one of our expert immigration attorneys.
Alternatively, simply call Motion Law today at: (202)918-1799